[File]
-- begin --
(1)
{
  "formula": "C4H6N4",
  "method": "ωB97M-V/def2-TZVPD",
  "species": ["H", "N", "N", "C", "C", "N", "C", "N", "C", "H", "H", "H", "H", "H"],
  "xyz": [[-3.1045, 1.1119, -1.0281], [-2.5800, 1.9793, -1.2500], [-1.2785, 1.9359, -1.2281], [-0.6819, 0.8458, -0.4716], [-1.1163, -0.0856, 0.3551], [-0.1338, -1.0368, 0.7047], [1.0777, -0.5893, 0.1951], [2.2371, -1.2469, 0.7683], [0.7400, 0.4500, -0.6464], [-1.8969, 0.0698, 1.2483], [-0.6187, -2.0067, 1.0242], [3.0623, -0.6883, 1.2331], [2.7952, -1.9278, 0.2634], [1.4983, 1.1889, -1.1681]],
  "charge": 0,
  "largest_force_ev_per_a": 6.1,
  "e_above_lowest_kcal_mol": 108.5,
  "e_homo_ev": -8.73,
  "multiplicity": 1,
  "e_lumo_ev": 0.0158,
  "smiles": "[H]/N=N\\c1c[nH]c(N)c1"
}



(2)
{
  "formula": "C4H6N4O",
  "method": "ωB97M-V/def2-TZVPD",
  "species": ["C", "C", "N", "N", "C", "O", "C", "N", "N", "H", "H", "H", "H", "H", "H"],
  "xyz": [[-2.7370, -1.0162, 0.0890], [-1.4189, -0.3015, -0.1059], [-0.3280, -1.0068, -0.0655], [0.8341, -0.3261, -0.1515], [2.0412, -0.9164, 0.0307], [3.0458, -0.2082, 0.0965], [0.8028, 1.0999, -0.0141], [-0.2807, 1.8106, 0.0714], [-1.4408, 1.0995, 0.0523], [-3.1833, -0.6603, 1.0294], [-2.5810, -2.0638, 0.1965], [-3.5839, -0.9642, -0.7139], [1.8591, -2.0026, -0.0160], [1.7944, 1.4621, -0.2069], [-2.2916, 1.6594, -0.4054]],
  "charge": 0,
  "largest_force_ev_per_a": 3.9,
  "e_above_lowest_kcal_mol": 55.5,
  "e_homo_ev": -8.05,
  "multiplicity": 1,
  "e_lumo_ev": 0.5284,
  "smiles": "CC1=NN(C=O)C=NN1"
}



(3)
{
  "formula": "C4H6N4O2",
  "method": "ωB97M-V/def2-TZVPD",
  "species": ["O", "C", "N", "C", "N", "C", "O", "N", "C", "N", "H", "H", "H", "H", "H", "H"],
  "xyz": [[0.6634, -1.3416, -2.6961], [0.5936, -0.7042, -1.6513], [1.1897, -1.1401, -0.4736], [0.9937, -0.1458, 0.6227], [-0.0168, -0.5230, 1.5829], [-1.0852, 0.3973, 1.5464], [-2.1683, 0.4028, 2.1277], [-0.6783, 1.4365, 0.7292], [0.3956, 1.0352, -0.1561], [0.0826, 0.5642, -1.4994], [1.3817, -2.1554, -0.4103], [1.9570, 0.1939, 0.9222], [-0.1536, -1.4010, 2.0162], [-1.5732, 1.7528, 0.1276], [0.9864, 1.9427, -0.2544], [0.0145, 1.3192, -2.3994]],
  "charge": 0,
  "largest_force_ev_per_a": 4.9,
  "e_above_lowest_kcal_mol": 32.0,
  "e_homo_ev": -10.04,
  "multiplicity": 1,
  "e_lumo_ev": 0.4471,
  "smiles": "O=C1N[C@H]2NC(=O)N[C@H]2N1"
}



(4)
{
  "formula": "C4H6NO",
  "method": "ωB97M-V/def2-TZVPD",
  "species": ["C", "C", "C", "C", "N", "O", "H", "H", "H", "H", "H", "H"],
  "xyz": [[-0.3414, -0.2784, -0.8676], [2.4200, -0.1257, 1.2983], [0.0163, 0.2284, 0.3922], [1.3150, 0.1496, 0.8022], [-2.1762, 0.2450, -0.9863], [0.0426, -0.8646, -1.8020], [2.7442, -1.1089, 1.4856], [3.3167, 0.5534, 1.6430], [-0.6487, 0.4397, 1.1333], [-2.5288, -0.5852, -0.5789], [-2.2039, 0.2501, -1.9842], [-1.9558, 1.0966, -0.5357]],
  "charge": 1,
  "largest_force_ev_per_a": 5.6,
  "e_above_lowest_kcal_mol": 52.1,
  "e_homo_ev": -15.16,
  "multiplicity": 1,
  "e_lumo_ev": -5.2936
}



(5)
{
  "formula": "C4H6NO",
  "method": "ωB97M-V/def2-TZVPD",
  "species": ["C", "N", "C", "O", "C", "C", "H", "H", "H", "H", "H", "H"],
  "xyz": [[1.4851, 2.3832, 0.6887], [1.0947, 1.4610, 0.1352], [0.7018, 0.2747, -0.5075], [-0.3278, 0.3825, -1.4225], [-0.7026, -0.1710, -0.1906], [-1.0069, -1.6245, 0.0235], [1.9166, 3.3179, 1.0783], [1.7655, -0.2806, -0.7337], [-1.2634, 0.4232, 0.6196], [-0.7693, -2.2067, 0.9250], [-0.7697, -2.2126, -0.8538], [-2.1240, -1.7471, 0.2379]],
  "charge": 1,
  "largest_force_ev_per_a": 3.6,
  "e_above_lowest_kcal_mol": 72.6,
  "e_homo_ev": -15.40,
  "multiplicity": 1,
  "e_lumo_ev": -4.9316,
  "smiles": "C#[N+][C@@H]1O[C@H]1C"
}



(6)
{
  "formula": "C4H6NO",
  "method": "ωB97M-V/def2-TZVPD",
  "species": ["C", "C", "C", "C", "N", "O", "H", "H", "H", "H", "H", "H"],
-- stop --

[What to do]
Please write out the lines above with every line break kept.

[Completed]
(1)
{
  "formula": "C4H6N4",
  "method": "ωB97M-V/def2-TZVPD",
  "species": ["H", "N", "N", "C", "C", "N", "C", "N", "C", "H", "H", "H", "H", "H"],
  "xyz": [[-3.1045, 1.1119, -1.0281], [-2.5800, 1.9793, -1.2500], [-1.2785, 1.9359, -1.2281], [-0.6819, 0.8458, -0.4716], [-1.1163, -0.0856, 0.3551], [-0.1338, -1.0368, 0.7047], [1.0777, -0.5893, 0.1951], [2.2371, -1.2469, 0.7683], [0.7400, 0.4500, -0.6464], [-1.8969, 0.0698, 1.2483], [-0.6187, -2.0067, 1.0242], [3.0623, -0.6883, 1.2331], [2.7952, -1.9278, 0.2634], [1.4983, 1.1889, -1.1681]],
  "charge": 0,
  "largest_force_ev_per_a": 6.1,
  "e_above_lowest_kcal_mol": 108.5,
  "e_homo_ev": -8.73,
  "multiplicity": 1,
  "e_lumo_ev": 0.0158,
  "smiles": "[H]/N=N\\c1c[nH]c(N)c1"
}



(2)
{
  "formula": "C4H6N4O",
  "method": "ωB97M-V/def2-TZVPD",
  "species": ["C", "C", "N", "N", "C", "O", "C", "N", "N", "H", "H", "H", "H", "H", "H"],
  "xyz": [[-2.7370, -1.0162, 0.0890], [-1.4189, -0.3015, -0.1059], [-0.3280, -1.0068, -0.0655], [0.8341, -0.3261, -0.1515], [2.0412, -0.9164, 0.0307], [3.0458, -0.2082, 0.0965], [0.8028, 1.0999, -0.0141], [-0.2807, 1.8106, 0.0714], [-1.4408, 1.0995, 0.0523], [-3.1833, -0.6603, 1.0294], [-2.5810, -2.0638, 0.1965], [-3.5839, -0.9642, -0.7139], [1.8591, -2.0026, -0.0160], [1.7944, 1.4621, -0.2069], [-2.2916, 1.6594, -0.4054]],
  "charge": 0,
  "largest_force_ev_per_a": 3.9,
  "e_above_lowest_kcal_mol": 55.5,
  "e_homo_ev": -8.05,
  "multiplicity": 1,
  "e_lumo_ev": 0.5284,
  "smiles": "CC1=NN(C=O)C=NN1"
}



(3)
{
  "formula": "C4H6N4O2",
  "method": "ωB97M-V/def2-TZVPD",
  "species": ["O", "C", "N", "C", "N", "C", "O", "N", "C", "N", "H", "H", "H", "H", "H", "H"],
  "xyz": [[0.6634, -1.3416, -2.6961], [0.5936, -0.7042, -1.6513], [1.1897, -1.1401, -0.4736], [0.9937, -0.1458, 0.6227], [-0.0168, -0.5230, 1.5829], [-1.0852, 0.3973, 1.5464], [-2.1683, 0.4028, 2.1277], [-0.6783, 1.4365, 0.7292], [0.3956, 1.0352, -0.1561], [0.0826, 0.5642, -1.4994], [1.3817, -2.1554, -0.4103], [1.9570, 0.1939, 0.9222], [-0.1536, -1.4010, 2.0162], [-1.5732, 1.7528, 0.1276], [0.9864, 1.9427, -0.2544], [0.0145, 1.3192, -2.3994]],
  "charge": 0,
  "largest_force_ev_per_a": 4.9,
  "e_above_lowest_kcal_mol": 32.0,
  "e_homo_ev": -10.04,
  "multiplicity": 1,
  "e_lumo_ev": 0.4471,
  "smiles": "O=C1N[C@H]2NC(=O)N[C@H]2N1"
}



(4)
{
  "formula": "C4H6NO",
  "method": "ωB97M-V/def2-TZVPD",
  "species": ["C", "C", "C", "C", "N", "O", "H", "H", "H", "H", "H", "H"],
  "xyz": [[-0.3414, -0.2784, -0.8676], [2.4200, -0.1257, 1.2983], [0.0163, 0.2284, 0.3922], [1.3150, 0.1496, 0.8022], [-2.1762, 0.2450, -0.9863], [0.0426, -0.8646, -1.8020], [2.7442, -1.1089, 1.4856], [3.3167, 0.5534, 1.6430], [-0.6487, 0.4397, 1.1333], [-2.5288, -0.5852, -0.5789], [-2.2039, 0.2501, -1.9842], [-1.9558, 1.0966, -0.5357]],
  "charge": 1,
  "largest_force_ev_per_a": 5.6,
  "e_above_lowest_kcal_mol": 52.1,
  "e_homo_ev": -15.16,
  "multiplicity": 1,
  "e_lumo_ev": -5.2936
}



(5)
{
  "formula": "C4H6NO",
  "method": "ωB97M-V/def2-TZVPD",
  "species": ["C", "N", "C", "O", "C", "C", "H", "H", "H", "H", "H", "H"],
  "xyz": [[1.4851, 2.3832, 0.6887], [1.0947, 1.4610, 0.1352], [0.7018, 0.2747, -0.5075], [-0.3278, 0.3825, -1.4225], [-0.7026, -0.1710, -0.1906], [-1.0069, -1.6245, 0.0235], [1.9166, 3.3179, 1.0783], [1.7655, -0.2806, -0.7337], [-1.2634, 0.4232, 0.6196], [-0.7693, -2.2067, 0.9250], [-0.7697, -2.2126, -0.8538], [-2.1240, -1.7471, 0.2379]],
  "charge": 1,
  "largest_force_ev_per_a": 3.6,
  "e_above_lowest_kcal_mol": 72.6,
  "e_homo_ev": -15.40,
  "multiplicity": 1,
  "e_lumo_ev": -4.9316,
  "smiles": "C#[N+][C@@H]1O[C@H]1C"
}



(6)
{
  "formula": "C4H6NO",
  "method": "ωB97M-V/def2-TZVPD",
  "species": ["C", "C", "C", "C", "N", "O", "H", "H", "H", "H", "H", "H"],